The most confusing part to me was that we were supposed to like the main character Sophie (played by Brooke Shields) yet she was written to be the most unlikable person in the movie. Her character had little to no redeeming qualities, she just spent the entire time acting extremely entitled. Everyone in the movie seemed to like her, but I couldn’t never figure out why. Shields’ acting ability also left a lot to be desired. I didn’t believe a single word or emotion from her the entire movie. And can someone PLEASE tell me why she wants to buy the castle? Her dad worked there as a kid, and moved to New York when he was still a kid. There’s no real “family history” there. My dad’s worked at a college for more than 30 years now, I’m not going to buy the campus.
/*
Entry 1:
A relaxed structure of NaTl2PtAu, computed with PBE.

a b c (Å): 5.2578 5.2578 5.4187
angles (deg): 90.00 90.00 90.00
With the nearest neighbours (Å) after each atom.
Positions (direct):
Na  0.0000  0.0000  0.5000  2 Pt 2.71
Tl  0.0000  0.5000  0.0000  2 Pt 2.63
Tl  0.5000  0.0000  0.0000  2 Pt 2.63
Au  0.5000  0.5000  0.5000  4 Na 3.72, 8 Tl 3.78
Pt  0.0000  0.0000  0.0000  4 Tl 2.63, 2 Na 2.71

- Formation energy from the elements: 0.021 eV per atom

Entry 2:
A relaxed structure of NaTlPtAu, computed with PBE.

a b c (Å): 4.8029 4.8029 4.8029
angles (deg): 60.00 60.00 60.00
With the nearest neighbours (Å) after each atom.
Positions (direct):
Na  0.2500  0.2500  0.2500  4 Au 2.94, 4 Tl 2.94
Au  0.0000  0.0000  0.0000  4 Na 2.94, 4 Pt 2.94
Pt  0.7500  0.7500  0.7500  4 Tl 2.94, 4 Au 2.94
Tl  0.5000  0.5000  0.5000  4 Na 2.94, 4 Pt 2.94

- Formation energy from the elements: -0.127 eV per atom

Entry 3:
A relaxed structure of NaTmPtAu, computed with PBE.

a b c (Å): 4.8568 4.8568 4.8568
angles (deg): 60.00 60.00 60.00
With the nearest neighbours (Å) after each atom.
Positions (direct):
Tm  0.0000  0.0000  0.0000  4 Pt 2.97, 4 Au 2.97
Au  0.2500  0.2500  0.2500  4 Na 2.97, 4 Tm 2.97
Pt  0.7500  0.7500  0.7500  4 Na 2.97, 4 Tm 2.97
Na  0.5000  0.5000  0.5000  4 Pt 2.97, 4 Au 2.97

- Formation energy from the elements: -0.683 eV per atom

Entry 4:
A relaxed structure of NaYPtAu, computed with PBE.

a b c (Å): 4.9116 4.9116 4.9116
angles (deg): 60.00 60.00 60.00
With the nearest neighbours (Å) after each atom.
Positions (direct):
Pt  0.7500  0.7500  0.7500  4 Y 3.01, 4 Na 3.01
Au  0.2500  0.2500  0.2500  4 Na 3.01, 4 Y 3.01
Na  0.0000  0.0000  0.0000  4 Pt 3.01, 4 Au 3.01
Y  0.5000  0.5000  0.5000  4 Au 3.01, 4 Pt 3.01

- Formation energy from the elements: -0.666 eV per atom

Entry 5:
A relaxed structure of Na2Zn2PtAu5, computed with PBE.

a b c (Å): 3.4935 10.5062 10.5062
angles (deg): 90.00 90.00 90.00
With the nearest neighbours (Å) after each atom.
Positions (direct):
Au  0.5000  0.0000  0.5000  4 Zn 2.60
Au  0.5000  0.0600  0.8024  2 Zn 2.62, 2 Pt 2.79
Au  0.5000  0.6976  0.4400  2 Zn 2.62, 2 Pt 2.79
Au  0.5000  0.4400  0.3024  2 Zn 2.62, 2 Pt 2.79
Au  0.5000  0.5000  0.0000  4 Zn 2.60
Au  0.5000  0.9400  0.1976  2 Zn 2.62, 2 Pt 2.79
Au  0.5000  0.8024  0.9400  2 Zn 2.62, 2 Pt 2.79
Au  0.5000  0.5601  0.6976  2 Zn 2.62, 2 Pt 2.79
Au  0.5000  0.3024  0.5601  2 Zn 2.62, 2 Pt 2.79
Au  0.5000  0.1976  0.0600  2 Zn 2.62, 2 Pt 2.79
Zn  0.0000  0.8700  0.3700  6 Au 2.60-2.62, 1 Na 2.90
Zn  0.0000  0.3700  0.1300  6 Au 2.60-2.62, 1 Na 2.90
Zn  0.0000  0.1300  0.6300  6 Au 2.60-2.62, 1 Na 2.90
Zn  0.0000  0.6300  0.8700  6 Au 2.60-2.62, 1 Na 2.90
Na  0.0000  0.3255  0.8255  3 Zn 2.90-3.23, 2 Au 3.13
Na  0.0000  0.8255  0.6745  3 Zn 2.90-3.23, 2 Au 3.13
Na  0.0000  0.1745  0.3255  3 Zn 2.90-3.23, 2 Au 3.13
Na  0.0000  0.6745  0.1745  3 Zn 2.90-3.23, 2 Au 3.13
Pt  0.0000  0.5000  0.5000  8 Au 2.79
Pt  0.0000  0.0000  0.0000  8 Au 2.79
*/
Every character, except for MAYBE Carey Elwes’, was written very one dimensionally. The author wants the castle for realistically no reason and refuses to take no for an answer because she’s stubborn and entitled, all of the knitters like to knit and do nothing else, the Duke’s right hand man does nothing but assist the Duke. Elwes’ character was the only one given some reasoning behind his actions. He acts like a stubborn jerk because he wants to keep the castle in his family, but even then it’s something that’s been done a thousand times before.
Every moment that’s meant to be a surprise was extremely predictable. Not even 5 minutes in to the movie, I knew the character from the books that was killed off was based off her ex-husband. (Also, I think we can all agree that Drew Barrymore would not act like that on her show) The guy who doesn’t talk finally talks when the main character is going to leave? Shocker. The “surprises” were obvious because this movie is not unique in any way, except for it being Scottish. Can’t say I’ve seen many films based in Scotland, but that’s hardly enough to call it original.
Sophie spends THREE MONTHS in the castle because she desperately wants to buy it for no good reason, then leaves on the final day because she got into an argument with the guy she’s been arguing with the entire movie? Even when they act nice to each other, they’re still being nasty so I can’t really understand why it upset her to such a degree that she was willing to give up the castle, except to say “she’s incredibly filthy rich, so it didn’t matter much to her”
TL;DR It’s been done before. Not even that just that it’s been done before, it’s been done SIGNIFICANTLY better before with much better writing, much better actors, and much better everything. It’s fun to make fun of though, so still worth a watch if you want to play MST3K with your friends/family this holiday season.